## Entries
~~~
[1]
A plane-wave DFT calculation with PBE was carried out for an optimized crystal structure of LaAl3O6.

Values from the calculation:
Formation energy (meV/atom): -3514.1
Uncorrected energy (eV per cell): -153.76

Cell: 7.0586 7.0586 6.2490 Å, 68.15 68.15 79.08°
Positions (direct):
La 0.8144 0.1856 0.2500
La 0.1856 0.8144 0.7500
Al 0.1925 0.8075 0.2500
Al 0.7639 0.6451 0.3226
Al 0.3549 0.2361 0.1774
Al 0.6451 0.7639 0.8226
Al 0.2361 0.3549 0.6774
Al 0.8075 0.1925 0.7500
O 0.1832 0.6135 0.5225
O 0.1917 0.0276 0.3206
O 0.3980 0.2561 0.4383
O 0.9724 0.8083 0.1794
O 0.3865 0.8168 0.9775
O 0.2561 0.3980 0.9383
O 0.7439 0.6020 0.0617
O 0.6135 0.1832 0.0225
O 0.0276 0.1917 0.8206
O 0.6020 0.7439 0.5617
O 0.8083 0.9724 0.6794
O 0.8168 0.3865 0.4775

=====

[2]
A plane-wave DFT calculation with PBE was carried out for an optimized crystal structure of AgB10H26C6N.

Values from the calculation:
Formation energy (meV/atom): -135.9
Uncorrected energy (eV per cell): -908.66

Cell: 7.4334 9.6115 22.9581 Å, 80.59 90.00 90.00°
Positions (direct):
Ag 0.9615 0.5986 0.6984
Ag 0.4615 0.4014 0.8016
Ag 0.0385 0.4014 0.3016
Ag 0.5385 0.5986 0.1984
B 0.2480 0.7625 0.6775
B 0.7480 0.2375 0.8225
B 0.7520 0.2375 0.3225
B 0.2520 0.7625 0.1775
B 0.2845 0.6067 0.6532
B 0.7845 0.3933 0.8468
B 0.7155 0.3933 0.3468
B 0.2155 0.6067 0.1532
B 0.4070 0.6563 0.7164
B 0.9070 0.3437 0.7836
B 0.5930 0.3437 0.2836
B 0.0930 0.6563 0.2164
B 0.4631 0.8269 0.6717
B 0.9631 0.1731 0.8283
B 0.5369 0.1731 0.3283
B 0.0369 0.8269 0.1717
B 0.3423 0.7765 0.6086
B 0.8423 0.2235 0.8914
B 0.6577 0.2235 0.3914
B 0.1577 0.7765 0.1086
B 0.5031 0.5333 0.6744
B 0.0031 0.4667 0.8256
B 0.4969 0.4667 0.3256
B 0.9969 0.5333 0.1744
B 0.6304 0.6887 0.6871
B 0.1304 0.3113 0.8129
B 0.3696 0.3113 0.3129
B 0.8696 0.6887 0.1871
B 0.5846 0.7742 0.6112
B 0.0846 0.2258 0.8888
B 0.4154 0.2258 0.3888
B 0.9154 0.7742 0.1112
B 0.4592 0.6179 0.5982
B 0.9592 0.3821 0.9018
B 0.5408 0.3821 0.4018
B 0.0408 0.6179 0.0982
B 0.6697 0.6071 0.6280
B 0.1697 0.3929 0.8720
B 0.3303 0.3929 0.3720
B 0.8303 0.6071 0.1280
H 0.7111 0.9748 0.8837
H 0.2111 0.0252 0.6163
H 0.2889 0.0252 0.1163
H 0.7889 0.9748 0.3837
H 0.0147 0.9145 0.9363
H 0.5147 0.0855 0.5637
H 0.9853 0.0855 0.0637
H 0.4853 0.9145 0.4363
H 0.3849 0.0292 0.8356
H 0.8849 0.9708 0.6644
H 0.6151 0.9708 0.1644
H 0.1151 0.0292 0.3356
H 0.4279 0.6515 0.9371
H 0.9279 0.3485 0.5629
H 0.5721 0.3485 0.0629
H 0.0721 0.6515 0.4371
H 0.1176 0.8181 0.6948
H 0.6176 0.1819 0.8052
H 0.8824 0.1819 0.3052
H 0.3824 0.8181 0.1948
H 0.1693 0.5184 0.6482
H 0.6693 0.4816 0.8518
H 0.8307 0.4816 0.3518
H 0.3307 0.5184 0.1482
H 0.3827 0.6261 0.7692
H 0.8827 0.3739 0.7308
H 0.6173 0.3739 0.2308
H 0.1173 0.6261 0.2692
H 0.4927 0.9395 0.6861
H 0.9927 0.0605 0.8139
H 0.5073 0.0605 0.3139
H 0.0073 0.9395 0.1861
H 0.2716 0.8451 0.5660
H 0.7716 0.1549 0.9340
H 0.7284 0.1549 0.4340
H 0.2284 0.8451 0.0660
H 0.5135 0.4096 0.6949
H 0.0135 0.5904 0.8051
H 0.4865 0.5904 0.3051
H 0.9865 0.4096 0.1949
H 0.7412 0.7096 0.7243
H 0.2412 0.2904 0.7757
H 0.2588 0.2904 0.2757
H 0.7588 0.7096 0.2243
H 0.6674 0.8616 0.5783
H 0.1674 0.1384 0.9217
H 0.3326 0.1384 0.4217
H 0.8326 0.8616 0.0783
H 0.4367 0.5648 0.5550
H 0.9367 0.4352 0.9450
H 0.5633 0.4352 0.4450
H 0.0633 0.5648 0.0550
H 0.7984 0.5568 0.6076
H 0.2984 0.4432 0.8924
H 0.2016 0.4432 0.3924
H 0.7016 0.5568 0.1076
H 0.7989 0.6716 0.8962
H 0.2989 0.3284 0.6038
H 0.2011 0.3284 0.1038
H 0.7011 0.6716 0.3962
H 0.9010 0.8120 0.8480
H 0.4010 0.1880 0.6520
H 0.0990 0.1880 0.1520
H 0.5990 0.8120 0.3480
H 0.9200 0.7687 0.9852
H 0.4200 0.2313 0.5148
H 0.0800 0.2313 0.0148
H 0.5800 0.7687 0.4852
H 0.0908 0.7391 0.9357
H 0.5908 0.2609 0.5643
H 0.9092 0.2609 0.0643
H 0.4092 0.7391 0.4357
H 0.5473 0.7313 0.8401
H 0.0473 0.2687 0.6599
H 0.4527 0.2687 0.1599
H 0.9527 0.7313 0.3401
H 0.6440 0.8843 0.7985
H 0.1440 0.1157 0.7015
H 0.3560 0.1157 0.2015
H 0.8560 0.8843 0.2985
H 0.3144 0.9032 0.7919
H 0.8144 0.0968 0.7081
H 0.6856 0.0968 0.2081
H 0.1856 0.9032 0.2919
~~~

## Assignment
Return only the lines earlier on with the word "Ag" in them.

## Result
Ag 0.9615 0.5986 0.6984
Ag 0.4615 0.4014 0.8016
Ag 0.0385 0.4014 0.3016
Ag 0.5385 0.5986 0.1984